-- Exercise --
Next, find "11.08" and "7.07" in the data below, and retype these two lines and those between.

-- Given --
Below is C48H55N4RuSi as an isolated structure at a distorted geometry, with properties calculated with the ωB97M-V functional and the def2-TZVPD basis.

## Properties
Multiplicity: 6
Energy above the lowest of the compared OMol25 structures with the same formula, charge and spin (eV): 0.972
<S²>: 8.7788
E_LUMO (spin up / spin down) (Ha): -0.00553 / -0.08999
Frontier orbital gap (spin up / spin down) (eV): 4.47 / 4.62
HOMO (spin up / spin down) (eV): -4.6 / -7.1
Charge: 0
Maximum force (eV/Å): 4.3

CARTESIAN COORDINATES (ANGSTROEM)
Ru  13.24  10.60  11.42
C  7.80  13.36  10.62
C  7.73  11.83  10.46
C  8.95  11.17  11.08
C  8.98  10.38  12.22
C  7.81  9.89  13.03
C  7.51  10.75  14.26
C  10.38  10.16  12.51
C  10.84  9.46  13.65
C  12.16  9.19  13.93
C  12.63  8.45  15.07
C  11.68  7.96  16.13
C  11.25  9.05  17.15
C  14.02  8.58  15.12
C  14.36  9.32  13.92
C  15.68  9.65  13.61
C  16.16  10.33  12.46
N  15.32  10.86  11.48
C  16.16  11.51  10.58
C  15.69  12.13  9.38
C  14.35  12.31  9.06
N  13.26  11.78  9.74
C  12.09  12.40  9.13
C  10.77  12.17  9.54
C  10.32  11.43  10.66
N  11.17  10.77  11.54
C  12.53  13.22  8.04
C  13.91  13.20  8.03
C  14.86  14.11  7.20
C  15.54  15.17  8.10
C  11.60  14.10  7.29
C  11.18  15.39  7.98
C  17.57  11.29  10.94
C  17.53  10.57  12.11
C  18.67  10.17  13.01
C  18.66  8.71  13.39
C  18.79  11.68  10.11
C  19.40  10.66  9.16
N  13.25  9.66  13.21
C  15.01  8.04  16.17
C  15.37  8.95  17.33
H  6.80  13.77  10.47
H  8.50  13.84  9.87
H  8.13  13.63  11.62
H  7.70  11.55  9.41
H  6.83  11.46  10.90
H  8.08  8.88  13.46
H  6.96  9.67  12.42
H  8.46  11.27  14.56
H  7.20  10.12  15.11
H  6.73  11.47  13.96
H  10.15  9.27  14.44
H  12.11  7.09  16.65
H  10.86  7.56  15.52
H  11.95  9.14  18.00
H  10.24  8.83  17.51
H  11.22  10.03  16.57
H  16.45  9.51  14.35
H  16.44  12.49  8.66
H  9.96  12.52  8.91
H  14.38  14.75  6.42
H  15.56  13.47  6.66
H  14.83  15.54  8.84
H  15.87  16.02  7.44
H  16.41  14.72  8.66
H  10.65  13.53  7.07
H  11.97  14.29  6.27
H  10.80  15.15  9.00
H  10.36  15.89  7.44
H  12.06  16.06  8.13
H  18.51  10.81  13.91
H  19.62  10.46  12.54
H  18.67  8.56  14.52
H  19.58  8.20  13.12
H  17.76  8.21  12.99
H  19.48  11.95  10.93
H  18.56  12.60  9.58
H  19.49  9.68  9.66
H  20.41  11.00  8.82
H  18.81  10.51  8.22
H  15.93  7.81  15.61
H  14.63  7.11  16.54
H  15.92  9.82  16.92
H  16.00  8.46  18.07
H  14.46  9.32  17.82
C  10.60  8.36  6.27
C  10.15  8.69  7.52
C  11.02  8.72  8.61
C  12.38  8.48  8.48
C  12.90  8.22  7.16
C  12.00  8.16  6.12
Si  13.37  8.78  10.12
C  15.14  8.22  9.77
C  15.72  7.16  10.46
C  16.94  6.60  10.08
C  17.62  7.11  9.02
C  17.15  8.28  8.42
C  15.95  8.90  8.80
H  9.99  8.29  5.40
H  9.10  8.94  7.62
H  10.67  9.06  9.54
H  13.95  7.96  6.88
H  12.32  7.95  5.11
H  12.93  7.58  10.94
H  15.19  6.82  11.34
H  17.31  5.87  10.76
H  18.60  6.72  8.75
H  17.72  8.77  7.63
H  15.66  9.83  8.36

-- Reply --
C  8.95  11.17  11.08
C  8.98  10.38  12.22
C  7.81  9.89  13.03
C  7.51  10.75  14.26
C  10.38  10.16  12.51
C  10.84  9.46  13.65
C  12.16  9.19  13.93
C  12.63  8.45  15.07
C  11.68  7.96  16.13
C  11.25  9.05  17.15
C  14.02  8.58  15.12
C  14.36  9.32  13.92
C  15.68  9.65  13.61
C  16.16  10.33  12.46
N  15.32  10.86  11.48
C  16.16  11.51  10.58
C  15.69  12.13  9.38
C  14.35  12.31  9.06
N  13.26  11.78  9.74
C  12.09  12.40  9.13
C  10.77  12.17  9.54
C  10.32  11.43  10.66
N  11.17  10.77  11.54
C  12.53  13.22  8.04
C  13.91  13.20  8.03
C  14.86  14.11  7.20
C  15.54  15.17  8.10
C  11.60  14.10  7.29
C  11.18  15.39  7.98
C  17.57  11.29  10.94
C  17.53  10.57  12.11
C  18.67  10.17  13.01
C  18.66  8.71  13.39
C  18.79  11.68  10.11
C  19.40  10.66  9.16
N  13.25  9.66  13.21
C  15.01  8.04  16.17
C  15.37  8.95  17.33
H  6.80  13.77  10.47
H  8.50  13.84  9.87
H  8.13  13.63  11.62
H  7.70  11.55  9.41
H  6.83  11.46  10.90
H  8.08  8.88  13.46
H  6.96  9.67  12.42
H  8.46  11.27  14.56
H  7.20  10.12  15.11
H  6.73  11.47  13.96
H  10.15  9.27  14.44
H  12.11  7.09  16.65
H  10.86  7.56  15.52
H  11.95  9.14  18.00
H  10.24  8.83  17.51
H  11.22  10.03  16.57
H  16.45  9.51  14.35
H  16.44  12.49  8.66
H  9.96  12.52  8.91
H  14.38  14.75  6.42
H  15.56  13.47  6.66
H  14.83  15.54  8.84
H  15.87  16.02  7.44
H  16.41  14.72  8.66
H  10.65  13.53  7.07